The Consciousness of Unconscious Bias
Today, the topic is unconscious bias. In case you’re wondering what it means, I feel Bristol University’s Equity, Diversity and Inclusion team describe it best:
“Unconscious bias is a positive or negative mental attitude towards a person, thing or group that is held at an unconscious level. Bias is ordinary; it is not a moral failing. However, biases do have consequences; they disadvantage stereotyped groups.”
“[Unconscious bias] …is a gravitation towards the ‘safe’ or familiar. In the workplace, this behaviour can lead to a tendency to recruit or favour people in our own image, rather than those who are more diverse.”
== The piece is interrupted by crystal structures ==
+++
{
  "formula": "TbCoGe2",
  "functional": "PBE",
  "state": "optimized geometry",
  "rho_g_cm3": 8.380,
  "e_tot_ev_per_cell": -47.15,
  "ef_ev_per_atom": -0.65,
  "lattice_angstrom": [[0.278, 3.540, 2.185], [3.889, 0.583, -1.439], [-3.146, 2.431, -7.516]],
  "species": ["Tb", "Tb", "Co", "Co", "Ge", "Ge", "Ge", "Ge"],
  "fractional_positions": [[0.108, 0.250, 0.216], [0.892, 0.750, 0.784], [0.318, 0.250, 0.636], [0.682, 0.750, 0.364], [0.545, 0.750, 0.090], [0.749, 0.250, 0.498], [0.455, 0.250, 0.910], [0.251, 0.750, 0.502]]
}

{
  "formula": "Tb3UCo8Ge8",
  "functional": "PBE",
  "state": "optimized geometry",
  "rho_g_cm3": 9.144,
  "e_tot_ev_per_cell": -129.54,
  "ef_ev_per_atom": -0.52,
  "lattice_angstrom": [[3.993, 0.000, 0.000], [0.000, 3.993, 0.000], [0.000, 0.000, 20.126]],
  "species": ["U", "Tb", "Tb", "Tb", "Co", "Co", "Co", "Co", "Co", "Co", "Co", "Co", "Ge", "Ge", "Ge", "Ge", "Ge", "Ge", "Ge", "Ge"],
  "fractional_positions": [[0.000, 0.000, 0.000], [0.500, 0.500, 0.249], [0.000, 0.000, 0.500], [0.500, 0.500, 0.751], [0.000, 0.500, 0.123], [0.000, 0.500, 0.375], [0.000, 0.500, 0.625], [0.500, 0.000, 0.375], [0.500, 0.000, 0.877], [0.000, 0.500, 0.877], [0.500, 0.000, 0.123], [0.500, 0.000, 0.625], [0.500, 0.500, 0.938], [0.000, 0.000, 0.186], [0.000, 0.000, 0.686], [0.500, 0.500, 0.564], [0.000, 0.000, 0.314], [0.500, 0.500, 0.436], [0.000, 0.000, 0.814], [0.500, 0.500, 0.062]]
}

{
  "formula": "Co2Ge3Te3",
  "functional": "PBE",
  "state": "optimized geometry",
  "rho_g_cm3": 7.049,
  "e_tot_ev_per_cell": -157.15,
  "energy_mp2020_ev_per_atom": -5.069,
  "ef_ev_per_atom": -0.38,
  "lattice_angstrom": [[6.210, -6.209, 0.000], [6.210, 6.209, 0.000], [0.002, 0.000, 8.781]],
  "species": ["Ge", "Ge", "Ge", "Ge", "Ge", "Ge", "Ge", "Ge", "Ge", "Ge", "Ge", "Ge", "Te", "Te", "Te", "Te", "Te", "Te", "Te", "Te", "Te", "Te", "Te", "Te", "Co", "Co", "Co", "Co", "Co", "Co", "Co", "Co"],
  "fractional_positions": [[0.997, 0.168, 0.319], [0.668, 0.181, 0.499], [0.832, 0.681, 0.003], [0.332, 0.819, 0.501], [0.681, 0.003, 0.832], [0.003, 0.832, 0.681], [0.181, 0.499, 0.668], [0.499, 0.668, 0.181], [0.168, 0.319, 0.997], [0.501, 0.332, 0.819], [0.319, 0.997, 0.168], [0.819, 0.501, 0.332], [0.156, 0.496, 0.352], [0.148, 0.656, 0.001], [0.001, 0.148, 0.656], [0.999, 0.852, 0.344], [0.504, 0.648, 0.844], [0.496, 0.352, 0.156], [0.352, 0.156, 0.496], [0.344, 0.999, 0.852], [0.844, 0.504, 0.648], [0.648, 0.844, 0.504], [0.852, 0.344, 0.999], [0.656, 0.001, 0.148], [0.746, 0.249, 0.748], [0.748, 0.746, 0.249], [0.245, 0.245, 0.245], [0.252, 0.254, 0.751], [0.249, 0.748, 0.746], [0.254, 0.751, 0.252], [0.755, 0.755, 0.755], [0.751, 0.252, 0.254]]
}

{
  "formula": "CoGeTe",
  "functional": "PBE",
  "state": "optimized geometry",
  "rho_g_cm3": 7.935,
  "e_tot_ev_per_cell": -124.41,
  "energy_mp2020_ev_per_atom": -5.324,
  "ef_ev_per_atom": -0.37,
  "lattice_angstrom": [[6.203, 0.000, 0.000], [0.000, 6.252, 0.000], [0.000, 0.000, 11.188]],
+++
Now some people may feel isn’t bias simply another term for decision-making? Aren’t decisions a necessary part of our day-to-day life. Which raises the question, is making a judgment or decision the same thing as exercising bias? To answer this question, we should look at the word bias itself. What is bias?
According to Oxford Languages, bias is:
“[an] inclination or prejudice for or against one person or group, especially in a way considered to be unfair.”
Got that everyone? Hopefully, we all understand bias now and we all understand unconscious bias… sort of…
From the definition shared, bias judgments or decisions are prejudiced and unfair.
Is it possible to be unconsciously prejudiced and unfair? I really struggle to believe this. The only people who I can imagine this may apply to are those who feel they have little or nothing to learn. Is that person unconsciously bias or willingly ignorant? Are they one and the same thing?
What I find interesting is many people believe they are not racist, or that they they treat everyone equally and fairly. They don’t see colour, they love and appreciate everyone, they give equal opportunities, blah, blah, blah… And they genuinely and wholeheartedly believe this. I’m convinced of this. However, in my experience, I often see their conclusions of people and actions towards people tell a different story.
In the instance of the workplace, even where you do see a diverse workforce, that doesn’t tell the whole story. You’re simply seeing a bunch of people posing for photos. Yes, you may have a wide range of people present, but who is heard, who is respected, who is given room to make an impact, who is given room to step a foot wrong, who is proactively mentored, coached and looked after, who works most and receives the least, who still doesn’t quite fit in? And why?
If you’re a manager or have been a manager, think about the teams you’ve managed. Who had a voice and who did you advocate for… and why? What was the evidence of your reasoning? Was everyone measured fairly and consistently?
I’ve heard the term ‘unconscious bias’ being banded around for the past five years or so… and I’m simply not a fan of it. This term is a soothing balm and a get-out clause. It removes accountability, responsibility and actions needed to be taken for solutions. Also, if I’m to take the term literally, I don’t believe people make judgments about other people unconsciously. The decision or judgment may be misinformed or a habit, but that does not make it unconscious.
Everyone wants to claim they believe in diversity but they don’t understand that making such a claim is a big responsibility and requires proactive work.
Have you addressed your own biases? What do you do to counteract them? How do you handle when a member of staff from a minority group tells you that they feel they’re being interacted with in a condescending way? Do you listen to understand, or listen to counteract by making them feel it’s in their head?
How do you handle when a possible neurodivergent team member says something you deem to be odd? Does it make you feel uncomfortable? Does it make you feel they are not a culture fit?
Are your team members aware of their biases? There’s no way this is not impacting how they interact and work with others. Do you even feel this is important enough to address?
So maybe we don’t call it unconscious bias, maybe we call it minimised bias or ignored bias or just bias! Why coat it with sugar by putting it in the unconscious category. “Oh, I can help it! I don’t know what I’m doing… it’s all unconscious…” Well, that’s simply not good enough. We can’t conquer our demons or resolve problems or improve society if we’re not brave enough to face them head on.
Maybe that’s what’s missing… bravery. The courage to look oneself in the mirror to try to understand one’s strengths and failings. The courage to work on the failings, individually and within our respective social groups. We all have biases. Let’s not sugarcoat them, let’s not hide them or make people feel more or less guilty for them. Let’s face and work through them so we can be better together and for one another.